Details: The Story In Motion Project has announced that it will end the year with a production including five short plays by celebrated Nobel Prize winner Samuel Beckett, presented at the Théâtre Ouvert Luxembourg: Act Without Words II, Not I, Rockaby, Footfalls and Catastrophe.
== Inserted here: calculated crystals ==
+++
For La2Pm2Sm5, a DFT-relaxed cell (PBE, Alexandria) gives the calculated X-ray diffraction stick pattern in this record (a wavelength of 1.5418 Å).

Largest 10 diffraction maxima, in order of rising 2θ, 2θ from 10° to 90°:
hkl 3 1 1, 26.13 deg, d 3.410, I = 38
hkl 5 1 -1, 29.94 deg, d 2.984, I = 77
hkl 2 2 -2, 30.29 deg, d 2.951, I = 78
hkl 4 0 -4, 30.47 deg, d 2.934, I = 100
hkl 1 1 3, 30.71 deg, d 2.911, I = 69
hkl 0 2 2, 30.89 deg, d 2.894, I = 30
hkl 2 0 3, 31.81 deg, d 2.813, I = 27
hkl 4 2 -2, 34.21 deg, d 2.621, I = 27
hkl 3 3 1, 46.10 deg, d 1.969, I = 37
hkl 6 2 -6, 54.07 deg, d 1.696, I = 24

Atomic structure:
```
data_La2Pm2Sm5
_cell_length_a 16.9210
_cell_length_b 6.8282
_cell_length_c 12.2590
_cell_angle_alpha 90.00
_cell_angle_beta 117.08
_cell_angle_gamma 90.00
_symmetry_space_group_name_H-M 'C 1 2 1'
_symmetry_Int_Tables_number 5
_symmetry_space_group_name_Hall 'C 2y'
loop_
_atom_site_label
_atom_site_type_symbol
_atom_site_fract_x
_atom_site_fract_y
_atom_site_fract_z
La1 La 0.0000 0.0000 0.0000
La2 La 0.0000 0.4573 0.5000
La3 La 0.2370 0.4050 0.7341
Pm1 Pm 0.1140 0.4568 0.1172
Pm2 Pm 0.1377 0.9252 0.6412
Sm1 Sm 0.0503 0.7363 0.8127
Sm2 Sm 0.0620 0.2905 0.8031
Sm3 Sm 0.1109 0.0854 0.3610
Sm4 Sm 0.1768 0.5916 0.4281
Sm5 Sm 0.2299 0.0642 0.9839
```

For La4Pm2Sm, a DFT-relaxed cell (PBE, Alexandria) gives the calculated X-ray diffraction stick pattern in this record (a wavelength of 1.5418 Å).

Largest 10 diffraction maxima, in order of rising 2θ, 2θ from 10° to 90°:
hkl 2 0 0, 29.58 deg, d 3.020, I = 100
hkl 2 1 3, 34.29 deg, d 2.615, I = 51
hkl 3 3 2, 49.26 deg, d 1.850, I = 30
hkl 1 4 5, 49.34 deg, d 1.847, I = 6
hkl 4 1 3, 58.51 deg, d 1.578, I = 33
hkl 3 4 5, 58.59 deg, d 1.575, I = 11
hkl 0 2 6, 61.39 deg, d 1.510, I = 6
hkl 5 -2 1, 79.88 deg, d 1.201, I = 7
hkl 5 3 2, 79.98 deg, d 1.200, I = 7
hkl 5 4 5, 82.50 deg, d 1.169, I = 9

Atomic structure:
```
data_La4Pm2Sm
_cell_length_a 6.4077
_cell_length_b 9.7763
_cell_length_c 9.7770
_cell_angle_alpha 60.08
_cell_angle_beta 71.01
_cell_angle_gamma 83.84
_symmetry_space_group_name_H-M 'P 1'
_symmetry_Int_Tables_number 1
_symmetry_space_group_name_Hall 'P 1'
loop_
_atom_site_label
_atom_site_type_symbol
_atom_site_fract_x
_atom_site_fract_y
_atom_site_fract_z
La1 La 0.0000 0.0000 0.0000
La2 La 0.0000 0.2821 0.5727
La3 La 0.4972 0.3539 0.2183
La4 La 0.4969 0.6416 0.7901
La5 La 0.4968 0.9257 0.3608
La6 La 0.4984 0.4959 0.5053
La7 La 0.9970 0.4289 0.8579
La8 La 0.9988 0.7144 0.4288
Pm1 Pm 0.4988 0.0674 0.6480
Pm2 Pm 0.5018 0.7833 0.0731
Pm3 Pm 0.9963 0.1426 0.2872
Pm4 Pm 0.9977 0.5716 0.1433
Sm1 Sm 0.4984 0.2095 0.9328
Sm2 Sm 0.9971 0.8571 0.7155
```

=====

Record 1
Calculated X-ray diffraction stick pattern
Compound: Cs2IBrCl6
Radiation: Cu Kα, 1.54184 Å
Structure: DFT lattice parameters and positions (PBE)
Kinematic intensities with the Lorentz-polarization factor, no thermal factor.

Most intense lines, 2θ from 5° to 70°, in order of rising 2θ:
d/Å  two_theta  Rel. int.
+++
== The calculated crystals stop here ==
Directed by Timothy Lone, Exploring Beckett brings together an international cast featuring Gianfranco Celestino, Ann Comfort, Rhona Richards and Caspar Schjelbred.
“The Story in Motion Project theatre company began out of experiments in physical and vocal improvisation” said director Timothy Lone. “These exquisite short plays by Samuel Beckett specifically emphasize speech and/or movement. These unique plays are a wonderful vehicle for performers; dancer Gianfranco Celestino, actor and mime artist Caspar Schjelbred, and two accomplished (local) British stage actresses, Ann Comfort and Rhona Richards.”
Samuel Beckett, who was awarded the Nobel Prize for Literature in 1969, is one of the towering figures of 20th century writing. Countless playwrights acknowledge their debt to his challenging and innovative work, among them Edward Albee, Harold Pinter, Tom Stoppard and David Mamet. When contemporary playwright Will Eno was asked when Beckett's plays would become irrelevant, he answered: “When people stop dying”.
Samuel Beckett’s writing extends the possibilities of drama and fiction in unprecedented ways, bringing to the theatre an acute awareness of the absurdity of human existence – our desperate search for meaning, and the gulf between our desires and the language in which they find expression.
Exploring Beckett presents five of the writer’s most influential short plays:
Act Without Words II - A mime with two protagonists exposes the absurdity of the routines of life.
Not I - A woman who has been virtually mute since childhood suddenly begins to tell her story of abandonment and of a life lived in loveless, mechanical isolation.
Rockaby - An elderly woman listens to her memories as she slowly rocks towards death.
Footfalls - A woman paces obsessively back and forth whilst she speaks with her dying mother.
Catastrophe - A theatre director and his assistant put the finishing touches to his magnum opus.
Exploring Beckett is being performed on 8, 9, 10, 14, 15, 16 and 17 December at 20:30, and 18 December at 17:30, at the Théâtre Ouvert Luxembourg (143 Route de Thionville, L-2611 Luxembourg-Bonnevoie).
Venue: Théâtre Ouvert Luxembourg (143 Route de Thionville, L-2611 Luxembourg-Bonnevoie).
Organiser: The Story in Motion Project theatre company
Price: Tickets cost €20 and €8 reduced.
Reservations: To reserve your tickets, tel: 493166 or online at www.tol.lu or www.storyinmotionproject.com
Price: 0
Reservations: 0